Prepared by The University of Iowa Center for Human Rights (UICHR)*

The International Labor Organization (ILO), founded in 1919, is the longest continuously operating intergovernmental organization in modern history and is widely recognized as the arbiter and protector of workers’ rights and employment standards worldwide. It has a unique, tripartite governance structure comprised of representatives of governments, organized labor, and employers from its current 183 member states, each of whom participate in the work of the ILO in a 2-1-1 ratio, respectively. And largely for this reason, with its International Labor Conference or General Conference (often called the “international parliament of labor”) setting its broad policies each year, it has garnered widespread support for nearly 200 conventions that today form the foundation of human rights protection for workers.

The United States, a member of the ILO, has been slow to ratify these treaty instruments, however, even though they run the gamut of worker concerns and are embraced by the International Bill of Human Rights (the 1948 Universal Declaration of Human Rights, the 1966 International Covenant on Economic, Social and Cultural Rights, and the 1966 International Covenant on Civil and Political Rights). For example, 1948 ILO Convention 87, ratified by 150 countries, requires countries “to take all necessary and appropriate measures to ensure that workers . . . may exercise freely the right to organize”; 1949 ILO Convention 98, ratified by 160 countries, declares that “[w]orkers shall enjoy adequate protection against acts of anti-union discrimination”; and other widely ratified ILO conventions require countries to “promote . . . equal remuneration for men and women workers for work of equal value” and to “establish a system of minimum wages” that considers “the needs of workers and their families . . . , the cost of living, social security benefits, and the relative living standards of other social groups.”

Next to the article, the page also holds materials data:
+++
Computed, not measured: GaPtCl2 after structural relaxation at the PBE level of DFT.

Unit cell a=5.346 b=5.346 c=15.012 alpha=90.00 beta=90.00 gamma=90.00
Space group I-42d (No. 122)
Inequivalent atoms, fractional coordinates:
Ga  0.000  0.000  0.000 (multiplicity 4)
Pt  0.000  0.000  0.500 (multiplicity 4)
Cl  0.166  0.250  0.625 (multiplicity 8)

## Properties
volume: 26.81 A^3/atom
E_form (uncorrected): 0.915 kcal/mol of atoms
DOS(E_F): 14.14 states/eV per cell
excess energy over the best structure of this formula in the dataset: 0.000 eV per atom

----------

1.
Compound: Tb6CeNd2Tm3
Source: the Alexandria database
Functional: PBE-GGA
Structure: optimized geometry

Summary:
As for the total energy: -4.68 eV/atom. As for the crystal system: monoclinic. The formation energy is 0.042 eV per atom. The value obtained for the density of states at the Fermi level is 20.235 states/eV/f.u. The symmetry is C2/m, No. 12.

CIF file:
```
data_Tb6CeNd2Tm3
_chemical_formula_sum 'Tb6 Ce1 Nd2 Tm3'
_cell_length_a 6.1720
_cell_length_b 6.1720
_cell_length_c 11.7981
_cell_angle_alpha 95.01
_cell_angle_beta 95.01
_cell_angle_gamma 120.00
_symmetry_space_group_name_H-M 'P 1'
_symmetry_Int_Tables_number 1
_symmetry_space_group_name_Hall 'P 1'
loop_
_atom_site_label
_atom_site_type_symbol
_atom_site_fract_x
_atom_site_fract_y
_atom_site_fract_z
Tb1 Tb 0.7537 0.7537 0.2541
Tb2 Tb 0.4154 0.0846 0.2537
Tb3 Tb 0.5846 0.9154 0.7463
Tb4 Tb 0.2463 0.2463 0.7459
Tb5 Tb 0.9154 0.5846 0.7463
Tb6 Tb 0.0846 0.4154 0.2537
Tm1 Tm 0.5000 0.5000 0.5000
Tm2 Tm 0.8331 0.1669 0.5000
Tm3 Tm 0.1669 0.8331 0.5000
Ce1 Ce 0.0000 0.0000 0.0000
Nd1 Nd 0.3335 0.6665 0.0000
Nd2 Nd 0.6665 0.3335 0.0000
```



2.
Compound: LaCdGe4
Source: the Alexandria database
Functional: PBE-GGA
Structure: optimized geometry

Summary:
As for the total energy: -4.28 eV/atom. As for the crystal system: cubic. The formation energy is -0.232 eV per atom. The value obtained for the density of states at the Fermi level is 1.913 states/eV/f.u. The symmetry is F-43m, No. 216.

CIF file:
```
data_LaCdGe4
_chemical_formula_sum 'La1 Cd1 Ge4'
_cell_length_a 5.7061
_cell_length_b 5.7061
_cell_length_c 5.7061
_cell_angle_alpha 60.00
_cell_angle_beta 60.00
_cell_angle_gamma 60.00
_symmetry_space_group_name_H-M 'P 1'
_symmetry_Int_Tables_number 1
_symmetry_space_group_name_Hall 'P 1'
loop_
_atom_site_label
_atom_site_type_symbol
_atom_site_fract_x
_atom_site_fract_y
_atom_site_fract_z
Ge1 Ge 0.1263 0.6246 0.6246
Ge2 Ge 0.6246 0.6246 0.6246
Ge3 Ge 0.6246 0.6246 0.1263
Ge4 Ge 0.6246 0.1263 0.6246
La1 La 0.2500 0.2500 0.2500
Cd1 Cd 0.0000 0.0000 0.0000
```



3.
Compound: LaPbAu
Source: the Alexandria database
Functional: PBE-GGA
Structure: optimized geometry

Summary:
As for the total energy: -4.67 eV/atom. As for the crystal system: orthorhombic. The formation energy is -0.699 eV per atom. The value obtained for the density of states at the Fermi level is 1.032 states/eV/f.u. The symmetry is Cmcm, No. 63.

CIF file:
```
+++
The article goes on:

Yet of the more than 125 million people in the United States labor force, only 14.8 million workers belong to labor unions, and union membership continues to drop as employers move jobs overseas and become more adept at blocking unionization efforts. Women in the United States are paid less than 78% of what men are paid in similar positions, and the real value of the U.S. minimum wage has decreased by more than 25% since its peak in 1968. These and other statistics bear harsh witness.

 6.9 — Percent of private-sector workers in the United States who are members of a union, less than one-fifth of the public-sector rate, which stands at 37% (Bureau of Labor Statistics 2012)

 18 — Income ratio between the top fifth of households and bottom fifth of households in U.S. metropolitan areas, reflecting the growing wage gap between high‑wage and low‑wage workers over the past 30 years when inflation‑adjusted wages have increased by 14% for low‑wage workers and 44% for high‑wage workers (DC Fiscal Policy Institute 2012; The Washington Post 2012)

23 — Number of U.S. states that, as of 2012, have passed anti-union “right to work laws” that also are among the states with the highest income inequality, lowest educational achievement, and highest level of dependence on public subsidies as of 2012; nineteen of the twenty-five states with the highest worker fatality rates and six of the ten states with the highest unemployment rates were right-to-work states at the same time (The Huffington Post 2012; The New York Times 2012; Washington State Labor Council, AFL-CIO 2009)

 34 — Percent of employers who fire workers that try to form unions, an illegal practice under the 1935 National Labor Relations Act, but one still attractive to employers who face weak penalties for violations (such as mitigated back pay), which take the National Labor Relations Board an average of 5.5 years to resolve, even in the “highest priority” cases (The New York Times 2012; American Rights at Work 2009)

 40 — Percent increase of disparity in the hourly wage of men and women in the United States between 1973 and 2007; over that same span, private‑sector union membership in the United States declined from 34% to 8% for men and from 16% to 6% for women (Bruce Western, Harvard University Department of Sociology 2011)

 52 — Percent of newly formed unions that, as of 2007, did not have a collective‑bargaining agreement one year after union election; 37% of newly formed unions had not reached such an agreement two years after union election (American Rights at Work 2009)

 53.5 — Percent of children and working-age adults in the United States with employer-sponsored health insurance in 2010, down from 63.6 percent in 2007, a steep decline in coverage caused largely by the significant loss of employment during the “great recession” stretching from December 2007 to June 2009 (National Institute for Health Care Reform 2012; The New York Times 2012)

 67.2 — Percent of authorized foreign‑born workers who reported employer violations of laws regulating overtime work in 2008; 31.1% of foreign‑born workers also reported more frequent minimum-wage violations than U.S.-born workers (15.6%), a disparity magnified by obstacles to foreign-born worker unionizing―in 41% of 2005 unionizing campaigns with recent immigrants in the majority, employers threatened to call U.S. Immigration and Customs Enforcement (ICE) (American Rights at Work 2012; Migration Policy Institute 2011)

 343 — The CEO-to-worker “pay ratio” in the United States in 2010, indicating that CEO compensation at the country’s 299 largest corporations is 343 times workers’ median pay, by far the widest ratio in the world, representing a dramatic shift in corporate profit allocation since 1980, when CEO compensation stood at 42 times workers’ median pay (AFL-CIO 2011; Economic Policy Institute 2011)

 1500 — Number of state employees represented by unions who received layoff warnings from Wisconsin Governor Scott Walker in 2011 in an attempt to pass a bill that would dramatically reduce collective‑bargaining rights for public‑sector employees; similar bills were introduced in Ohio and Indiana the same year (The New York Times 2011)

 4151 — Number of religion-based employment‑discrimination charges filed with the U.S. Equal Employment Opportunity Commission in 2011, 25% of them by U.S. Muslim workers (though Muslims make up less than 2% of the U.S. population), reflecting a 142% increase since 1997, including more complaints of anti-Muslim bias in 2009 than in the year following the 9/11 attacks on New York’s World Trade Center (U.S. Equal Employment Opportunity Commission 2011; The New York Times 2010)

 15,080 — Yearly dollar wage for a forty-hour work week at the mandated 2012 federal minimum wage of $7.25 per hour, less than 40% of the $37,960 annual income needed to afford a two-bedroom apartment at the national average Fair Market Rate of $949 per month (National Low Income Housing Coalition 2012; The Washington Post 2012)

 800,000 — Number of people trafficked internationally each year as part of a global trafficking trade valued at $32 billion annually, resulting in an estimated 2.5 million people who are subjected to forced labor at any given time, including an estimated 50,000 in the United States―in contrast to governments, in 2010, having formally identified only 33,113 trafficking victims worldwide, prosecuted only 6,017 trafficking cases, and obtained only 3,619 trafficking convictions worldwide (The Economist 2008; U.S. State Department Trafficking in Persons Report 2011; Human Rights & Human Welfare, University of Denver 2008)

6,200,000 — Decrease in number of U.S. workers belonging to unions since U.S. union membership peaked at 21 million in 1983, the union membership rate having plunged from 28.3% in 1954 to 11.8% in 2011, notwithstanding that the median weekly earnings of union members approximates $200 more than non-union workers ($938 compared to $729) (Bureau of Labor Statistics 2012; Cornell University ILR School 2004)

 53,000,000 — Number of domestic workers―mostly women―worldwide, including 1.8 million in the United States who, under ILO Convention 189 on Decent Work for Domestic Workers adopted by the ILO General Conference and opened for ratification in June 2011, will be guaranteed basic labor rights for the first time in history once the Convention enters into force, affording protection against excessive work hours, unpaid wages, confinement, and physical and sexual abuse (International Labor Organization 2011; Human Rights Watch 2011)

 77,600,000 — Dollars in reimbursement offered to workers discharged or discriminated against in violation of the National Labor Relations Act in the fiscal year ending September of 2009, representing compensation for discharged workers’ lost earnings, fees, dues, and fines (Bureau of Labor Statistics 2009)

* Copyright © 2012 by The University of Iowa Center for Human Rights (UICHR). Prepared by Bessie Dutton Murray Distinguished Professor of Law Emeritus and UICHR Senior Scholar Burns H. Weston with the generous assistance of Michael Judd and Chelsea Moore, students at the UI College of Law, and Abigail Behr, a pre-law student in the UI College of Liberal Arts and Sciences. For further information on human rights generally, please visit the UICHR web site.